What is needed: work out how many lines further below have the word "corrections" in them; a number is enough.
/*
Entry 1:
32
Lattice="3.312 1.912 9.401 -3.312 1.912 9.401 0.000 -3.825 9.401" Properties=species:S:1:pos:R:3 comment="LaSi3H12 (GGA-PBE, relaxed)" total_magnetization_mub_per_cell=0.0 e_tot_ha_per_atom=-0.1390 pbc="T T T"
La 0.000 0.000 0.000
La 0.000 0.000 14.101
Si -0.788 -2.241 11.924
Si -1.765 -0.110 16.624
Si -1.547 1.803 11.924
Si 0.978 -1.474 16.624
Si 2.335 0.438 11.924
Si 0.788 1.584 16.624
H -1.100 -0.758 7.042
H -2.207 1.183 7.486
H 0.080 -2.503 7.486
H -0.252 -1.794 10.496
H -1.885 -0.797 15.196
H -1.105 -0.730 12.186
H -0.319 -2.452 13.388
H -1.428 1.115 10.496
H -1.964 1.502 13.388
H -0.107 1.331 7.042
H 1.206 -0.573 7.042
H -1.349 -0.410 18.088
H -1.206 -0.573 21.143
H -0.080 1.322 12.186
H 1.185 -0.592 12.186
H 1.633 -1.234 15.196
H 1.680 0.679 10.496
H 2.128 1.320 7.486
H 1.030 -0.963 18.088
H 0.252 2.031 15.196
H 0.319 1.373 18.088
H 1.100 -0.758 21.143
H 0.107 1.331 21.143
H 2.283 0.950 13.388

Entry 2:
12
Lattice="8.721 0.000 0.000 0.000 4.162 0.000 -2.296 0.000 8.683" Properties=species:S:1:pos:R:3 comment="BaLiBiS3 (GGA-PBE, relaxed)" total_magnetization_mub_per_cell=0.0 e_tot_ha_per_atom=-0.1672 pbc="T T T"
Ba 1.136 1.041 2.103
Ba 5.289 3.122 6.580
Li -0.597 1.041 5.142
Li 7.022 3.122 3.542
Bi 0.945 3.122 7.276
Bi 5.480 1.041 1.407
S -1.010 1.041 7.540
S 0.533 3.122 4.503
S 3.498 3.122 1.467
S 2.927 1.041 7.216
S 5.892 1.041 4.180
S 7.435 3.122 1.144

Entry 3:
5
Lattice="4.779 0.000 0.000 0.000 4.779 0.000 0.000 0.000 4.922" Properties=species:S:1:pos:R:3 comment="CuAsAuS2 (GGA-PBE, relaxed)" total_magnetization_mub_per_cell=0.0 e_tot_ha_per_atom=-0.1202 pbc="T T T"
Cu 0.000 0.000 0.000
As 2.390 2.390 2.461
Au 2.390 2.390 0.000
S 0.000 2.390 2.461
S 2.390 0.000 2.461

Entry 4:
6
Lattice="1.776 -5.678 0.000 1.776 5.678 0.000 0.000 0.000 6.153" Properties=species:S:1:pos:R:3 comment="ThTcGe (GGA-PBE, relaxed)" total_magnetization_mub_per_cell=0.0 relative_energy_mev_per_atom=0 e_form_ev_per_atom=-0.585 pbc="T T T"
Th 1.776 3.726 4.615
Th 1.776 -3.726 1.538
Tc 1.776 0.000 0.000
Tc 1.776 0.000 3.077
Ge 1.776 4.472 1.538
Ge 1.776 -4.472 4.615

Entry 5:
6
Lattice="5.925 0.000 0.000 -2.963 5.131 0.000 0.000 0.000 10.453" Properties=species:S:1:pos:R:3 comment="RbTiGa (GGA-PBE, relaxed)" total_magnetization_mub_per_cell=5.3 relative_energy_mev_per_atom=1208 e_form_ev_per_atom=1.212 pbc="T T T"
Rb 0.000 3.421 2.613
Rb 2.963 1.710 7.840
Ti 0.000 0.000 0.000
Ti 0.000 0.000 5.227
Ga 0.000 0.000 2.613
Ga 0.000 0.000 7.840

Entry 6:
10
Lattice="6.977 0.000 0.000 0.000 6.977 0.000 0.000 0.000 3.782" Properties=species:S:1:pos:R:3 comment="Y2ReS2 (GGA-PBE, relaxed)" total_magnetization_mub_per_cell=0.0 relative_energy_mev_per_atom=0 pbc="T T T"
Y 1.127 2.362 0.000
Y 2.362 5.851 0.000
Y 4.615 1.127 0.000
Y 5.851 4.615 0.000
Re 0.000 0.000 1.891
Re 3.489 3.489 1.891
S 1.060 4.549 1.891
S 2.428 1.060 1.891
S 4.549 5.917 1.891
S 5.917 2.428 1.891

Entry 7:
5
Lattice="4.534 0.000 0.000 0.000 4.534 0.000 0.000 0.000 4.534" Properties=species:S:1:pos:R:3 comment="TiPd3Cl (GGA-PBE, relaxed)" total_magnetization_mub_per_cell=0.0 relative_energy_mev_per_atom=29 pbc="T T T"
Ti 0.000 0.000 0.000
Pd 0.000 2.267 2.267
Pd 2.267 0.000 2.267
Pd 2.267 2.267 0.000
Cl 2.267 2.267 2.267

~~~~~

# PBE VBIN2, optimized geometry
data_VBIN2
_symmetry_space_group_name_H-M 'P 4/m m m'
_symmetry_Int_Tables_number 123
_symmetry_space_group_name_Hall '-P 4 2'
_cell_length_a 3.4910
_cell_length_b 3.4910
_cell_length_c 6.1706
_cell_angle_alpha 90.00
_cell_angle_beta 90.00
_cell_angle_gamma 90.00
loop_
_atom_site_label
_atom_site_type_symbol
_atom_site_fract_x
_atom_site_fract_y
_atom_site_fract_z
V1 V 0.0000 0.0000 0.0000
B1 B 0.5000 0.5000 0.5000
I1 I 0.5000 0.5000 0.0000
N1 N 0.0000 0.5000 0.5000
# Formation energy without anion corrections = 1684 meV/atom


# PBE Y7Ho2Tm, optimized geometry
data_Y7Ho2Tm
_symmetry_space_group_name_H-M 'C m m m'
_symmetry_Int_Tables_number 65
_symmetry_space_group_name_Hall '-C 2 2'
_cell_length_a 8.7783
*/
1